Separate 'trusted users can edit others' setting for trust levels 3 & 4

Currently there is a single setting for both of these options:

  • trust level 3 can edit others’ topic titles and tags
  • trust level 4 can edit others’ posts

It would be handy if these were separated into different settings.

For our case:

We want to enable trust level 3 editing topic titles and tags, since the changes that can be made there are limited. But currently we want to disable editing others’ posts for trust level 4.

In the past we’ve disabled the setting altogether if we want to limit editing posts by tl4. But it’s been handy to have people add tags to topics, so it’s not ideal to have to disable that for tl3.

-- Records of crystals from another source follow --
~~~
Entry 1:
The following is a PBE calculation of a relaxed TcAg3Br crystal, from Alexandria.

a = 5.144 Å, b = 5.144 Å, c = 5.144 Å
α = 90.00°, β = 90.00°, γ = 90.00°
Atoms (fractional coordinates):
1 Tc 0.500 0.500 0.500
2 Br 0.000 0.000 0.000
3 Ag 0.500 0.000 0.000
4 Ag 0.000 0.000 0.500
5 Ag 0.000 0.500 0.000

## Properties
mass density	6.12	g/cm3
symmetry	Pm-3m, No. 221
formation energy without anion corrections	1.452	eV per atom
magnetization	3.9	μB/f.u.
crystal system	cubic

=====

Entry 2:
The following is a PBE calculation of a relaxed TbY4Ag crystal, from Alexandria.

a = 3.571 Å, b = 3.571 Å, c = 13.998 Å
α = 90.00°, β = 90.00°, γ = 90.00°
Atoms (fractional coordinates):
1 Tb 0.000 0.000 0.000
2 Y 0.000 0.000 0.364
3 Y 0.500 0.500 0.179
4 Y 0.500 0.500 0.821
5 Y 0.000 0.000 0.636
6 Ag 0.500 0.500 0.500

## Properties
mass density	5.79	g/cm3
symmetry	P4/mmm, No. 123
magnetization	0.0	μB/f.u.
crystal system	tetragonal
formation energy	-8	kJ/mol of atoms

=====

Entry 3:
The following is a PBE calculation of a relaxed TbPm6S8 crystal, from Alexandria.

a = 8.041 Å, b = 8.041 Å, c = 8.041 Å
α = 60.00°, β = 60.00°, γ = 60.00°
Atoms (fractional coordinates):
1 Pm 0.000 0.000 0.500
2 Pm 0.500 0.500 0.000
3 Pm 0.500 0.000 0.500
4 Pm 0.000 0.500 0.500
5 Pm 0.000 0.500 0.000
6 Pm 0.500 0.000 0.000
7 S 0.755 0.245 0.245
8 S 0.245 0.755 0.755
9 S 0.245 0.245 0.755
10 S 0.755 0.755 0.245
11 S 0.755 0.245 0.755
12 S 0.250 0.250 0.250
13 S 0.245 0.755 0.245
14 S 0.750 0.750 0.750
15 Tb 0.000 0.000 0.000

## Properties
mass density	5.81	g/cm3
symmetry	Fm-3m, No. 225
formation energy without anion corrections	-2.062	eV per atom
magnetization	0.0	μB/f.u.
crystal system	cubic

=====

Entry 4:
The following is a PBE calculation of a relaxed CoAsPt2 crystal, from Alexandria.

a = 4.710 Å, b = 4.710 Å, c = 2.853 Å
α = 89.92°, β = 89.92°, γ = 108.79°
Atoms (fractional coordinates):
1 Co 0.000 0.500 0.500
2 Pt 0.500 0.500 0.000
3 Pt 0.000 0.000 0.000
4 As 0.500 0.000 0.500

## Properties
mass density	14.52	g/cm3
symmetry	C2/m, No. 12
magnetization	2.2	μB/f.u.
crystal system	monoclinic
formation energy	2	kJ/mol of atoms

=====

Entry 5:
The following is a PBE calculation of a relaxed V2NiHW crystal, from Alexandria.
~~~

Mainly our audience is a bit younger and so leaders from the community are a bit younger, and though the vast majority have been very trustworthy, there was a historical case where some misused their privileges. So we usually have been a bit more conservative with some abilities – we only re-enabled editing for tl4 & tl3 after the present group of leaders had been serving for a while.

We are planning to disable the editing ability for trust level 4 again as we are onboarding a new group of leaders. But it would be nice to still have the ability for tl3 to add tags on others’ topics (Our community usually does not edit others’ titles)


I am generally warm to adding this fidelity though I would prefer to just “de-trust level” these settings if we do a split and change them so they are group based.

edit_all_topic_groups (default: trust_level_3)
edit_all_post_groups (default: trust_level_4)

This also automatically add a bunch of extra flexibility and I feel the name of the settings are fairly clear.

@mcwumbly thoughts.

Not sure when we can slot this, it may be a candidate for pr-welcome.


Default TL4 on that second one :slight_smile:


I think splitting these up and making them group-based as you’ve described makes sense.


These sound good – actually I was also wondering if this might be a good candidate for pr-welcome

I’d be interested in giving it a go myself when I get the chance. (I’m mainly iOS developer but have also dabbled in Ruby/JS etc. at work)


Sure Tracey I am happy to put a pr-welcome on this, it should be a fairly straightforward change, that said, it does have security implications so it would need careful testing using unit tests and would go through a pretty rigorous review process.


Awesome, I will take this on. Duly noted, also happy to make changes based on feedback once the PR is up.


I did get this working locally – just wanted to take the time to be thorough with test cases before making the PR. I did have some questions I wanted to check on, so I might post in dev for those, or in comments under the PR

(Not sure if there’s an expected timeframe with PRs from community, but just wanted to post a heads-up in case it is taking a bit of a while – I mainly only have some spare time on weekends)


It is fine, no huge rush here, so happy to hear you are making good progress.


Hey everyone – just an update since I mentioned I’d take this on. Sorry I’ve got too much on my plate at the moment, in the past few weeks and upcoming – significant changes at work, medical, etc. For this task, I’d had some trouble with specs and I didn’t really get a chance to debug it – I’m just a bit too worn to dig into Ruby further right now.

If anyone else wants to take on this pr-welcome task, feel free to do so.

(On our forum, we decided to re-enable the trusted users can edit others setting anyway, so we are ok for now. In future when I’m free again, maybe I can take on another Discourse task)


I worked on the separating ‘trusted users can edit others’ setting into ‘edit all post groups’ and ‘edit all topic groups’. I de-trust level these settings so they are group based. Here is the link for the PR:


The PR above was merged, thanks @GH_Nam! We now have

  • edit all post groups defaulting to trust_level_4
  • edit all topic groups defaulting to trust_level_3